Wanted =
It remains to transcribe the whole of the lines underneath exactly.

Listing =
# C32H85ClN9O17

A cluster of 9 separate species, C32H85ClN9O17 in total in a non-equilibrium geometry (the ωB97M-V functional and the def2-TZVPD basis, the Open Molecules 2025 dataset).

The calculation puts the energy above the lowest of the compared OMol25 structures with the same formula, charge and spin at 45.79 kcal/mol. The value obtained for the HOMO-LUMO gap is 8.1 eV. Its lowest unoccupied orbital energy is 0.0766 Ha. The value obtained for the HOMO energy is -6.040 eV. As for the charge: -1. Its spin multiplicity is 1. Its largest force on an atom is 0.1384 hartree/bohr. For the electronic energy, the calculation gives -95288.2451 eV.

Each line ends with the Löwdin charge.
Positions of all 144 atoms, in Å:
Cl (-8.73697, -2.66613, -22.51503)  0.61
O (-9.82253, -2.31620, -21.66202)  -0.35
O (-7.97575, -3.51438, -21.70831)  -0.39
O (-9.14807, -3.34328, -23.75467)  -0.36
O (-7.83203, -1.57867, -22.74081)  -0.35
C (-6.45477, 3.59018, -22.25843)  -0.04
O (-6.30562, 3.04258, -23.64696)  -0.18
C (-6.85045, 1.77106, -23.76217)  -0.24
C (-8.37713, 1.73585, -23.58979)  -0.20
N (-8.85009, 2.79578, -24.47455)  -0.04
C (-10.32093, 3.09807, -24.53446)  -0.16
C (-10.88548, 3.28910, -23.12978)  -0.23
O (-10.01365, 4.14698, -22.45133)  -0.20
C (-10.19052, 4.39407, -21.15490)  -0.16
H (-7.49461, 3.65903, -21.93891)  0.05
H (-6.04801, 4.58754, -22.09132)  0.08
H (-6.00815, 2.91357, -21.52985)  0.08
H (-6.32824, 0.94896, -23.27273)  0.12
H (-6.51887, 1.56830, -24.78052)  0.11
H (-8.72873, 1.84279, -22.56362)  0.10
H (-8.77721, 0.75653, -23.85242)  0.10
H (-8.39835, 3.61342, -24.09048)  0.08
H (-10.92322, 2.34430, -25.04161)  0.11
H (-10.53183, 4.05078, -25.02022)  0.11
H (-11.02844, 2.32688, -22.63802)  0.12
H (-11.87076, 3.75403, -23.16398)  0.12
H (-11.20359, 4.68666, -20.87890)  0.09
H (-9.47435, 5.12382, -20.77721)  0.10
H (-10.00660, 3.47825, -20.59315)  0.08
C (-15.58717, -8.43925, -23.53591)  -0.08
O (-14.95157, -7.24680, -24.04196)  -0.21
C (-14.22777, -7.43812, -25.17983)  -0.27
C (-13.46341, -6.10274, -25.44028)  -0.19
N (-14.26909, -4.87231, -25.35372)  -0.04
C (-13.50913, -3.63142, -25.51835)  -0.22
C (-12.94743, -3.06730, -24.25985)  -0.22
O (-14.00174, -2.71402, -23.33906)  -0.20
C (-13.63101, -2.56286, -22.00284)  -0.11
H (-14.79707, -8.86151, -22.91500)  0.09
H (-15.91827, -9.18609, -24.25751)  0.08
H (-16.43478, -8.05585, -22.96786)  0.09
H (-14.91084, -7.65123, -26.00208)  0.11
H (-13.61705, -8.33067, -25.04388)  0.11
H (-12.96886, -6.19731, -26.40702)  0.11
H (-12.62584, -6.07700, -24.74321)  0.11
H (-14.48551, -4.67510, -24.38710)  0.08
H (-14.14158, -2.86039, -25.95837)  0.12
H (-12.64466, -3.87951, -26.13418)  0.12
H (-12.47037, -2.14432, -24.58946)  0.12
H (-12.04745, -3.51007, -23.83314)  0.11
H (-13.21125, -3.52152, -21.69810)  0.10
H (-14.46237, -2.24276, -21.37476)  0.08
H (-13.00687, -1.67731, -21.88302)  0.08
C (-0.55540, -2.92246, -27.13638)  -0.15
O (-1.84230, -2.68744, -26.68781)  -0.20
C (-1.96427, -1.88384, -25.55301)  -0.23
C (-3.33820, -2.14754, -24.90872)  -0.19
N (-4.36076, -1.53374, -25.78949)  -0.03
C (-5.68962, -1.82373, -25.19908)  -0.20
C (-6.79238, -1.32453, -26.10595)  -0.25
O (-6.57085, -0.04648, -26.67193)  -0.19
C (-7.80391, 0.52028, -27.10780)  -0.10
H (-0.63000, -3.38762, -28.11932)  0.09
H (0.09312, -3.49827, -26.47610)  0.08
H (0.00358, -2.00924, -27.34048)  0.08
H (-1.89498, -0.90910, -26.03590)  0.13
H (-1.17947, -2.04678, -24.81433)  0.12
H (-3.34680, -1.56668, -23.98643)  0.12
H (-3.43891, -3.18981, -24.60596)  0.10
H (-4.14864, -1.63988, -26.77124)  0.11
H (-5.91866, -1.19864, -24.33600)  0.09
H (-5.81838, -2.86424, -24.90095)  0.10
H (-7.73346, -1.30974, -25.55619)  0.11
H (-6.80384, -2.14786, -26.82017)  0.12
H (-7.50488, 1.47119, -27.54876)  0.09
H (-8.47423, 0.60446, -26.25241)  0.07
H (-8.26389, -0.05071, -27.91432)  0.08
C (-6.13989, -9.08730, -22.66390)  -0.07
O (-5.76313, -9.41952, -21.32622)  -0.23
C (-5.96372, -10.75573, -20.92087)  -0.22

Outcome =
# C32H85ClN9O17

A cluster of 9 separate species, C32H85ClN9O17 in total in a non-equilibrium geometry (the ωB97M-V functional and the def2-TZVPD basis, the Open Molecules 2025 dataset).

The calculation puts the energy above the lowest of the compared OMol25 structures with the same formula, charge and spin at 45.79 kcal/mol. The value obtained for the HOMO-LUMO gap is 8.1 eV. Its lowest unoccupied orbital energy is 0.0766 Ha. The value obtained for the HOMO energy is -6.040 eV. As for the charge: -1. Its spin multiplicity is 1. Its largest force on an atom is 0.1384 hartree/bohr. For the electronic energy, the calculation gives -95288.2451 eV.

Each line ends with the Löwdin charge.
Positions of all 144 atoms, in Å:
Cl (-8.73697, -2.66613, -22.51503)  0.61
O (-9.82253, -2.31620, -21.66202)  -0.35
O (-7.97575, -3.51438, -21.70831)  -0.39
O (-9.14807, -3.34328, -23.75467)  -0.36
O (-7.83203, -1.57867, -22.74081)  -0.35
C (-6.45477, 3.59018, -22.25843)  -0.04
O (-6.30562, 3.04258, -23.64696)  -0.18
C (-6.85045, 1.77106, -23.76217)  -0.24
C (-8.37713, 1.73585, -23.58979)  -0.20
N (-8.85009, 2.79578, -24.47455)  -0.04
C (-10.32093, 3.09807, -24.53446)  -0.16
C (-10.88548, 3.28910, -23.12978)  -0.23
O (-10.01365, 4.14698, -22.45133)  -0.20
C (-10.19052, 4.39407, -21.15490)  -0.16
H (-7.49461, 3.65903, -21.93891)  0.05
H (-6.04801, 4.58754, -22.09132)  0.08
H (-6.00815, 2.91357, -21.52985)  0.08
H (-6.32824, 0.94896, -23.27273)  0.12
H (-6.51887, 1.56830, -24.78052)  0.11
H (-8.72873, 1.84279, -22.56362)  0.10
H (-8.77721, 0.75653, -23.85242)  0.10
H (-8.39835, 3.61342, -24.09048)  0.08
H (-10.92322, 2.34430, -25.04161)  0.11
H (-10.53183, 4.05078, -25.02022)  0.11
H (-11.02844, 2.32688, -22.63802)  0.12
H (-11.87076, 3.75403, -23.16398)  0.12
H (-11.20359, 4.68666, -20.87890)  0.09
H (-9.47435, 5.12382, -20.77721)  0.10
H (-10.00660, 3.47825, -20.59315)  0.08
C (-15.58717, -8.43925, -23.53591)  -0.08
O (-14.95157, -7.24680, -24.04196)  -0.21
C (-14.22777, -7.43812, -25.17983)  -0.27
C (-13.46341, -6.10274, -25.44028)  -0.19
N (-14.26909, -4.87231, -25.35372)  -0.04
C (-13.50913, -3.63142, -25.51835)  -0.22
C (-12.94743, -3.06730, -24.25985)  -0.22
O (-14.00174, -2.71402, -23.33906)  -0.20
C (-13.63101, -2.56286, -22.00284)  -0.11
H (-14.79707, -8.86151, -22.91500)  0.09
H (-15.91827, -9.18609, -24.25751)  0.08
H (-16.43478, -8.05585, -22.96786)  0.09
H (-14.91084, -7.65123, -26.00208)  0.11
H (-13.61705, -8.33067, -25.04388)  0.11
H (-12.96886, -6.19731, -26.40702)  0.11
H (-12.62584, -6.07700, -24.74321)  0.11
H (-14.48551, -4.67510, -24.38710)  0.08
H (-14.14158, -2.86039, -25.95837)  0.12
H (-12.64466, -3.87951, -26.13418)  0.12
H (-12.47037, -2.14432, -24.58946)  0.12
H (-12.04745, -3.51007, -23.83314)  0.11
H (-13.21125, -3.52152, -21.69810)  0.10
H (-14.46237, -2.24276, -21.37476)  0.08
H (-13.00687, -1.67731, -21.88302)  0.08
C (-0.55540, -2.92246, -27.13638)  -0.15
O (-1.84230, -2.68744, -26.68781)  -0.20
C (-1.96427, -1.88384, -25.55301)  -0.23
C (-3.33820, -2.14754, -24.90872)  -0.19
N (-4.36076, -1.53374, -25.78949)  -0.03
C (-5.68962, -1.82373, -25.19908)  -0.20
C (-6.79238, -1.32453, -26.10595)  -0.25
O (-6.57085, -0.04648, -26.67193)  -0.19
C (-7.80391, 0.52028, -27.10780)  -0.10
H (-0.63000, -3.38762, -28.11932)  0.09
H (0.09312, -3.49827, -26.47610)  0.08
H (0.00358, -2.00924, -27.34048)  0.08
H (-1.89498, -0.90910, -26.03590)  0.13
H (-1.17947, -2.04678, -24.81433)  0.12
H (-3.34680, -1.56668, -23.98643)  0.12
H (-3.43891, -3.18981, -24.60596)  0.10
H (-4.14864, -1.63988, -26.77124)  0.11
H (-5.91866, -1.19864, -24.33600)  0.09
H (-5.81838, -2.86424, -24.90095)  0.10
H (-7.73346, -1.30974, -25.55619)  0.11
H (-6.80384, -2.14786, -26.82017)  0.12
H (-7.50488, 1.47119, -27.54876)  0.09
H (-8.47423, 0.60446, -26.25241)  0.07
H (-8.26389, -0.05071, -27.91432)  0.08
C (-6.13989, -9.08730, -22.66390)  -0.07
O (-5.76313, -9.41952, -21.32622)  -0.23
C (-5.96372, -10.75573, -20.92087)  -0.22